What to do:
Your job: type out the lines underneath from the one with "0.37" to the one with "-11.53" unchanged.

Material:
____________
1.
Density functional theory data (ωB97M-V/def2-TZVPD) for a 2-piece molecular cluster, C20H22Br2Cl2F5NO3PS overall in a non-equilibrium geometry.

XYZ file:
```
57
Properties=species:S:1:pos:R:3:forces:R:3:mulliken_charge:R:1
C 1.67248 2.89019 1.93865 0.0519 -0.5057 -0.4188 -0.38
C 0.97520 2.01231 1.50573 -0.0207 0.5643 0.1167 -0.63
C 0.17457 0.91239 1.07102 -0.3074 -0.8214 1.5479 1.85
C 0.38674 -0.31930 1.74090 -0.4503 0.6190 -0.9333 0.37
C 1.36948 -0.49144 2.88656 -0.7700 -0.2575 0.5285 -0.85
O 0.89106 -0.65538 3.97261 -0.0855 0.4004 0.1965 -0.50
O 2.68532 -0.48407 2.66471 -0.0716 0.8238 0.1712 0.14
P 3.59863 -0.42980 4.07919 0.7796 -1.3489 0.7380 0.12
S 3.89682 -2.12360 4.91569 -0.1729 0.1474 -0.1104 -0.32
C -0.41880 -1.39902 1.38983 -0.5560 -1.4504 -0.4024 1.01
C -0.16296 -2.64381 2.20022 0.2332 -0.2494 -0.6613 -0.95
C 0.97037 -3.36389 2.00603 -0.4959 0.3553 0.2317 -0.79
C -1.36442 -1.26619 0.38359 0.4876 -0.0681 0.3058 0.02
C -2.22212 -2.46858 -0.01999 -0.6493 0.0944 0.1349 0.42
F -1.72101 -3.61687 0.42848 0.3642 0.0132 0.2494 -0.27
F -2.28735 -2.60815 -1.35490 -0.0093 0.2560 -0.2140 -0.27
C -3.69360 -2.34832 0.58337 0.1615 -1.0867 -0.0625 0.84
F -3.83141 -1.23863 1.29784 -0.0713 0.5207 -0.0546 -0.24
F -3.91902 -3.37603 1.38040 0.0738 -0.1773 0.3821 -0.27
F -4.59212 -2.40375 -0.38270 -0.2370 0.4873 -0.3280 -0.21
N -1.56266 -0.07715 -0.22426 -0.1549 0.3270 -0.1195 -0.10
C -2.63374 0.10380 -1.24052 -0.1432 0.1570 -0.6484 -2.20
C -2.09896 0.06697 -2.67659 -0.1511 -0.5960 0.1064 -0.12
C -3.01943 0.81686 -3.62872 -0.3167 -0.2552 0.1576 -0.73
O -4.32980 0.25652 -3.57922 0.0880 -0.0983 0.0792 -0.56
C -0.81227 1.00648 0.09737 0.1453 0.5952 0.1921 0.57
C -1.00730 2.34813 -0.57329 0.2024 0.2457 -0.7802 -0.79
Br -1.75084 3.61003 0.72265 -0.1571 -0.2690 0.0825 0.04
C 0.28750 2.87143 -1.30441 -0.3576 0.6724 0.8358 0.61
C 0.59961 4.34267 -1.05946 0.4756 -0.0807 -0.4590 -1.72
Br 0.05976 2.72906 -3.24055 0.1750 -0.2832 0.0509 -0.07
H 2.39977 3.62634 2.19199 -0.1335 0.1234 0.2127 0.54
H 3.00913 0.55569 4.87778 -0.1784 0.1846 -0.3859 0.09
H 4.79883 0.11434 3.61263 -0.3490 0.3527 -0.4098 0.11
H -0.92900 -2.91526 2.92136 0.7274 0.9010 1.1679 0.52
H 1.66174 -3.53694 2.82657 -0.7224 -1.6088 0.2894 0.28
H 1.18023 -3.76207 1.01616 1.0768 1.3260 -0.3334 0.26
H -3.15104 1.03623 -1.02386 0.1164 0.0593 0.2041 0.91
H -3.38459 -0.66871 -1.17010 0.0624 -0.0397 0.3623 0.73
H -2.13161 -0.97782 -2.98400 0.1141 -0.0122 -0.0985 0.44
H -1.05597 0.36596 -2.73467 -0.0594 0.2955 -0.0323 0.22
H -2.68248 0.64390 -4.64742 0.1327 0.2784 -0.0496 0.40
H -3.06852 1.88755 -3.41620 0.2042 0.0763 -0.0947 0.32
H -4.82642 0.63537 -2.84894 -0.0919 0.1048 -0.0726 0.33
H -1.77119 2.33732 -1.33596 -0.0854 -0.2230 0.0653 0.30
H 1.13679 2.27740 -0.98312 0.0825 -0.1774 -0.4159 0.05
H 1.43839 4.60470 -1.70392 0.0617 0.0028 0.0298 0.50
H -0.22617 4.97983 -1.36289 -0.1069 0.0508 0.2232 0.47
H 0.91481 4.52880 -0.03749 -0.2692 0.0259 0.1173 0.31
Cl 2.34595 -0.01977 -0.04139 1.2510 -0.4504 -1.7633 0.16
C 3.11176 -0.91610 -1.39887 0.0810 -0.1275 -0.1453 -0.67
C 4.49538 -1.39340 -1.04150 0.0557 -0.0379 0.0122 -0.46
Cl 5.63395 -0.03793 -0.86911 -0.0144 0.0182 0.0516 -0.18
H 3.12211 -0.25904 -2.26485 0.0311 0.0894 0.0722 0.36
H 2.46904 -1.76751 -1.61900 -0.0110 -0.0062 0.0965 0.30
H 4.87419 -2.03707 -1.83347 -0.0269 0.0298 -0.0393 0.40
H 4.49522 -1.95471 -0.10997 -0.0088 0.0331 0.0210 0.28
```
Positions in Å, forces in eV/Å.

E_HOMO (eV): -11.53
Kohn-Sham gap (eV): 6.76
2S+1: 1
Max |F| (eV Å⁻¹): 2.2
Total charge: +1
LUMO energy (eV): -4.767

---

2.
Density functional theory data (ωB97M-V/def2-TZVPD) for a 2-piece molecular cluster, C5H12NO overall in a non-equilibrium geometry.

XYZ file:
```
19
Properties=species:S:1:pos:R:3:forces:R:3:mulliken_charge:R:1
C 0.19963 0.22791 -0.93594 -0.2181 2.7671 -2.2922 1.64
C -0.96390 -0.26168 -0.21162 1.7066 1.5107 -0.1157 0.14
C 1.09386 1.44085 -0.55498 -1.4543 1.3663 1.3967 -1.30
C 0.17775 -0.00015 -2.47071 -0.4295 0.4912 1.9880 -1.21
____________

Outcome:
C 0.38674 -0.31930 1.74090 -0.4503 0.6190 -0.9333 0.37
C 1.36948 -0.49144 2.88656 -0.7700 -0.2575 0.5285 -0.85
O 0.89106 -0.65538 3.97261 -0.0855 0.4004 0.1965 -0.50
O 2.68532 -0.48407 2.66471 -0.0716 0.8238 0.1712 0.14
P 3.59863 -0.42980 4.07919 0.7796 -1.3489 0.7380 0.12
S 3.89682 -2.12360 4.91569 -0.1729 0.1474 -0.1104 -0.32
C -0.41880 -1.39902 1.38983 -0.5560 -1.4504 -0.4024 1.01
C -0.16296 -2.64381 2.20022 0.2332 -0.2494 -0.6613 -0.95
C 0.97037 -3.36389 2.00603 -0.4959 0.3553 0.2317 -0.79
C -1.36442 -1.26619 0.38359 0.4876 -0.0681 0.3058 0.02
C -2.22212 -2.46858 -0.01999 -0.6493 0.0944 0.1349 0.42
F -1.72101 -3.61687 0.42848 0.3642 0.0132 0.2494 -0.27
F -2.28735 -2.60815 -1.35490 -0.0093 0.2560 -0.2140 -0.27
C -3.69360 -2.34832 0.58337 0.1615 -1.0867 -0.0625 0.84
F -3.83141 -1.23863 1.29784 -0.0713 0.5207 -0.0546 -0.24
F -3.91902 -3.37603 1.38040 0.0738 -0.1773 0.3821 -0.27
F -4.59212 -2.40375 -0.38270 -0.2370 0.4873 -0.3280 -0.21
N -1.56266 -0.07715 -0.22426 -0.1549 0.3270 -0.1195 -0.10
C -2.63374 0.10380 -1.24052 -0.1432 0.1570 -0.6484 -2.20
C -2.09896 0.06697 -2.67659 -0.1511 -0.5960 0.1064 -0.12
C -3.01943 0.81686 -3.62872 -0.3167 -0.2552 0.1576 -0.73
O -4.32980 0.25652 -3.57922 0.0880 -0.0983 0.0792 -0.56
C -0.81227 1.00648 0.09737 0.1453 0.5952 0.1921 0.57
C -1.00730 2.34813 -0.57329 0.2024 0.2457 -0.7802 -0.79
Br -1.75084 3.61003 0.72265 -0.1571 -0.2690 0.0825 0.04
C 0.28750 2.87143 -1.30441 -0.3576 0.6724 0.8358 0.61
C 0.59961 4.34267 -1.05946 0.4756 -0.0807 -0.4590 -1.72
Br 0.05976 2.72906 -3.24055 0.1750 -0.2832 0.0509 -0.07
H 2.39977 3.62634 2.19199 -0.1335 0.1234 0.2127 0.54
H 3.00913 0.55569 4.87778 -0.1784 0.1846 -0.3859 0.09
H 4.79883 0.11434 3.61263 -0.3490 0.3527 -0.4098 0.11
H -0.92900 -2.91526 2.92136 0.7274 0.9010 1.1679 0.52
H 1.66174 -3.53694 2.82657 -0.7224 -1.6088 0.2894 0.28
H 1.18023 -3.76207 1.01616 1.0768 1.3260 -0.3334 0.26
H -3.15104 1.03623 -1.02386 0.1164 0.0593 0.2041 0.91
H -3.38459 -0.66871 -1.17010 0.0624 -0.0397 0.3623 0.73
H -2.13161 -0.97782 -2.98400 0.1141 -0.0122 -0.0985 0.44
H -1.05597 0.36596 -2.73467 -0.0594 0.2955 -0.0323 0.22
H -2.68248 0.64390 -4.64742 0.1327 0.2784 -0.0496 0.40
H -3.06852 1.88755 -3.41620 0.2042 0.0763 -0.0947 0.32
H -4.82642 0.63537 -2.84894 -0.0919 0.1048 -0.0726 0.33
H -1.77119 2.33732 -1.33596 -0.0854 -0.2230 0.0653 0.30
H 1.13679 2.27740 -0.98312 0.0825 -0.1774 -0.4159 0.05
H 1.43839 4.60470 -1.70392 0.0617 0.0028 0.0298 0.50
H -0.22617 4.97983 -1.36289 -0.1069 0.0508 0.2232 0.47
H 0.91481 4.52880 -0.03749 -0.2692 0.0259 0.1173 0.31
Cl 2.34595 -0.01977 -0.04139 1.2510 -0.4504 -1.7633 0.16
C 3.11176 -0.91610 -1.39887 0.0810 -0.1275 -0.1453 -0.67
C 4.49538 -1.39340 -1.04150 0.0557 -0.0379 0.0122 -0.46
Cl 5.63395 -0.03793 -0.86911 -0.0144 0.0182 0.0516 -0.18
H 3.12211 -0.25904 -2.26485 0.0311 0.0894 0.0722 0.36
H 2.46904 -1.76751 -1.61900 -0.0110 -0.0062 0.0965 0.30
H 4.87419 -2.03707 -1.83347 -0.0269 0.0298 -0.0393 0.40
H 4.49522 -1.95471 -0.10997 -0.0088 0.0331 0.0210 0.28
```
Positions in Å, forces in eV/Å.

E_HOMO (eV): -11.53